Specialties Emergency
Published Feb 28, 2007
4 Posts
:nuke: I was approached by my team leaders yesterday for help with a big problem my ER is currently facing. We currently just employed a new director for our unit that for the past 4 months, has showed little interest in helping our unit, and instead major interest in just helping herself. Our employee moral is at an all time low, and a couple of nurses have already put in their resignation, and more are currently looking for new jobs.
Work load is consistantly increasing, and stress levels are out of control. Our ER holds 17 beds, and an express care of 5 more beds. Our current staffing includes 4-5 nurses for main ER, 1 nurse for express care, and one team leader nurse for each shift. It is not uncommon for us to work with 3 nurses and a team leader. Many days we cannot even place a nurse in triage, have to close down rooms, and utilize anywhere from 0-2 techs a day on each shift. The other day we say 144 patients! The staff have many fears such as safety, burnout, anger, and staff retention. All of the team leaders including me, are trying to help this problem and our number one goal is employ an extra nurse during our busiest time, 10a-10p, to have a float available. This is not in our budget, but an extreme neccessity.
Does anyone have any ideas on how to approach administration and what tools would help us in convincing them of our dire need?
645 Posts
I feel your pain! I worked on a skilled unit in LTC. We started to take on a lot higher acuity patients et patients with more serious problems than we used to. I know many people think LTC et skilled units are easy but they are busy as any other place. And along with the higher acuity patients you need more staff et support. Managements does not understand what is going on on that floor! All they see is the bottom line. It gets very frustrating trying to give good care when you have many patients, not enough staff, et not enough hours in the day. I hated the feeling that if I did this for patient X, what was I not going to have time to do for patient Y. Or better yet, when was I ever going to get to go home to the kids waiting for mommy to get home before bedtime? Management was willing to do whatever as long as it did not effect the bottom line. OK! Like that is going to happen. If you find a solution, I'd love to hear it too! I swtiched to MDS in the past six months but the problems are still there on the floor. I try to help out as much as I can out there because I know how they feel but I also have my own job to do.
NicoleRN07, RN
133 Posts
## Someone pasted calculated molecules at this point
<<<
The following is a quantum chemistry calculation of a 8-piece molecular cluster, C27H45N8O12 overall at a distorted geometry, from the OMol25 dataset.

The geometry in XYZ format:
```
92
Properties=species:S:1:pos:R:3:forces:R:3:mulliken_charge:R:1
N 43.36600 21.04200 49.79200 -1.4650 1.0051 4.0328 0.9556
O 44.24500 21.92000 49.98300 0.2051 -0.4293 -0.5851 -0.6222
O 42.69800 20.64400 50.85100 1.1876 0.2188 -1.8630 -0.6272
O 43.03900 20.66600 48.69400 0.0237 -0.6783 -1.6107 -0.5208
C 44.96300 19.64100 53.02700 3.2274 0.6992 0.3709 0.0836
C 46.20400 20.37300 52.47600 0.1870 -5.9639 2.6391 -0.4644
C 47.58000 19.60400 52.55600 -4.3465 -0.5221 1.0490 -0.5678
C 47.80300 18.27700 53.10300 -7.0282 -0.5603 1.4486 0.1404
C 46.53100 17.55400 53.62300 -1.6165 6.8006 -2.5538 -0.6989
C 45.13200 18.30300 53.57200 5.8435 2.1677 -2.1011 -0.5199
N 49.05400 17.52600 53.16800 1.2659 2.0543 -2.4103 0.9189
O 50.06600 18.28700 53.01200 -1.6796 -2.3756 0.8789 -0.5840
O 49.01700 16.30700 53.11600 0.4703 1.4349 0.7872 -0.5268
H 43.94900 20.21000 53.23300 2.2750 -1.2662 -1.0403 0.0825
H 46.02600 21.37100 52.14800 0.6094 0.4765 -0.5354 0.5827
H 48.44100 20.01700 52.17500 1.6525 1.4197 -0.8703 0.5116
H 46.43500 16.64200 54.06800 0.5455 -2.4767 0.9269 0.4748
H 44.23000 18.02100 53.97400 -1.4844 -1.9413 1.1669 0.5308
C 44.33300 21.27400 45.46300 -2.1144 -2.2184 -0.7109 0.2250
C 44.21100 21.04500 43.95800 5.6967 2.8333 -0.5293 -0.4762
C 45.39900 21.61900 43.05300 -1.0191 -1.6959 7.0591 -0.4883
C 46.67700 22.07400 43.98900 -4.0301 -0.0274 -0.8370 0.0508
C 46.59500 22.33500 45.44800 -4.0097 -0.5821 -1.2471 -0.3282
C 45.23300 21.98200 46.28500 3.6190 -1.1921 -3.7246 -0.3033
N 47.94500 22.40300 43.15700 -0.2585 1.2495 5.4150 0.9047
O 48.28400 21.81200 42.20800 -0.4254 -1.6009 -2.9089 -0.5573
O 48.67400 23.18100 43.76500 -0.0966 0.4718 -0.3714 -0.5685
H 43.54600 20.60000 45.98100 1.1312 1.6555 -0.4562 0.0893
H 43.47400 20.36600 43.44800 0.5662 1.1237 0.9891 0.3416
H 45.31200 21.48100 41.96600 0.7738 0.2440 0.6494 0.3430
H 47.28400 22.92600 46.05500 0.4731 -0.5845 -0.7964 0.4144
H 45.27000 21.93400 47.44800 -0.4206 0.3248 -2.3297 0.3441
C 46.85200 16.98600 49.64200 2.0368 -4.3419 -4.4087 0.1377
O 47.35100 15.81900 49.64000 -1.2899 3.0413 0.6125 -0.7120
N 46.65000 17.62000 48.42000 2.8620 -3.1975 0.5242 0.2675
C 46.16600 18.90600 48.39800 -4.1041 2.3494 0.1618 -0.6463
C 47.04200 16.92600 47.13800 -1.7960 3.6059 -0.5263 -0.9214
H 46.54000 17.48800 50.49900 -0.5647 1.1358 1.6370 0.2874
H 46.44000 19.56100 49.21500 0.3926 -0.3609 0.7991 0.1286
H 44.98400 18.67600 48.61600 2.1294 2.0281 -1.3916 0.2042
H 46.50300 19.57500 47.54400 -1.0648 -1.3807 0.3997 0.3045
H 46.59500 15.99700 47.04100 -0.7091 -2.0204 0.3783 0.3544
H 48.10500 16.84000 47.03000 0.5291 0.1309 -0.1223 0.2943
H 46.52300 17.53300 46.24400 1.5290 -0.9572 2.0021 0.2951
C 42.80800 15.31900 52.40000 2.0848 -0.9182 0.9188 0.0061
O 44.02300 15.10000 52.36300 -0.6955 0.1386 -0.1476 -0.5939
>>>
## The calculated molecules stop here
Wow....sounds just like some of the same problems we are currently facing. I wish I had an answer for you, but unfortunately, I don't. It would be so nice if we could just wave that magic wand and make things perfect, but it takes a lot more than that. For weeks now, I have told myself that things are going to get better, but the only way that's going to happen for me is if I make it better, by being more positive at work. When one person comes to work with that "this place sucks" attitude and is complaining, then everyone else will fall right into that trap and complain too, and we become miserable the entire shift. I have made a promise to myself that I am going to go to work thinking and being a more positive person, and maybe, just maybe, life in the ER will be fun again.
TazziRN, RN
6,487 Posts
Biggest thing is to approach admin as a unit, not just one person representing everyone else. Write down your observations and your concerns without trying to place blame and point fingers. Be objective. Bring up the safety issue and point out that because of poor staffing, pt safety is compromised.
Good luck.
38 Posts
I agree with Tazzi. The ER I worked in prior to my current job did exactly that. It is a huge task to take on when you are attempting to show and convince that adding a float nurse will improve patient safety as well as be cost effective at the same time. Unfortunately, managers MUST look at the latter. Pt safety (in a perfect world) SHOULD come first, but the reality is the financial bottom line. Things to consider including: What is the turn over rate? How much does it cost to train a new RN in your ER? How many sick calls? How many injuries and cost of lost time from work due to on the job injuries--directly or indirectly resulting from a heavy workload? Of course include the Pt safety aspect, but the holder of the purse strings will be looking at the cost first. Make your case very strong...something that they just can't refuse. You need to show either no increase in cost long term or even a reduction in cost.
Look for studies in journal articles. Talk to RNs in other ERs and find out how they made the change and what the impact has been (turnover, moral, sick calls, etc). You might consider talking with a dept manager about how they financially justified adding an additional position.
If you can present a solid case WITH verifiable support to back it, it will not be easy for them to refuse.
I would definately enlist and delegate every staff member you are able to who cares about your staffing (probably everyone?). I wouldn't attempt it on your own. With a lot of thought, much planning, and ample researching, you are bound to succeed. And to sum up Tazzi's thoughts...keep it professional.
I applaud your efforts and the willingness to step up and initiate change!
Good luck!
Thank you, thank you thank you! For all of your support and advise. I love this website! It really is great to have multiple heads involved and opinions when you have questions in this profession.
6 Posts
Your ED sounds almost identical to the one I work in and we have the same issues. We have 17 beds and a trauma bay w/ 2 beds. One thing that I think will really help is to have add'l support staff. We have one medic who floats the entire ER and thus each nurse is pretty much left to do everything alone. For what it would cost to hire one nurse you could hire 2-3 techs. Assign a tech to one to two nurses and that person can run labs, place foleys, perform ekg's, etc. Thus the nurse can focus more on medication administration and higher acuity care. As an example, when I get a patient that comes in w/ chest pain I am doing everything. I get them on the monitor, oxygen. I grab the things I need and start one to two lines. I run and grab the EKG machine. I run the bloodwork to the lab downstairs. I give the medications. If the patient needs a foley or to go to the bathroom I'm the ONE to assist the person. Oops, I forgot I have two to 4 other patients, depending on my bed assignment...i sure hope they're ok! The hospital I work at is one of the busiest in it's "system". It's not uncommon for us to triage 200-300+ patients a day. Many of us are burnt out because we feel like we start getting pummeled as we walk in the door. The jobs I had that were less stressful always had enough support staff.